Tuesday, July 16, 2013

The Molt

Soon enough, the long, lazy days of Summer will shorten as we get closer and closer to Autumn. The shorter days have an effect on most all natural cycles. Chickens are no exception. Autumn is the time the hens will go into their annual molt. A molt is a period where the chickens undergo a loss of old feathers and regrowing of new feathers. In chickens, this process is usually about 7 weeks to three months.

If you have not experienced a molt before, I've outlined some highlights of that here along with tips to get through this natural cycle smoothly and without frustration.

Who Molts

A young hen will usually not molt her first year. On rare occasions, a hen may have a "mini" or partial molt in the fall of her first year, especially if she was an early chicken, hatched in Jan-March.  Chickens typically molt at 18-20 months of age and once a year thereafter.

What to Expect

Beginning sometime in the late summer or fall-August through Oct, you will begin to notice a reduction in egg production. You will see lots of feathers in the bedding of the coop and in the run. The hens may become more quiet, not quite as enthusiastic about eating at feeding time, more timid and seem to be suffering from a general malaise. When you pick up a hen to check her condition, you may notice that she is losing feathers on her neck and breast.

Molting Barred Plymouth Rock
All of this is perfectly normal. A chicken can take up to three months to go through a molt, during which time she doesn't typically lay. Some hens will lay on occasion, or pick up laying again once they have a majority of their feathers. Other hens may take the winter off and not resume laying until the following Spring.

Differnt breeds of chickens go into the molt at different times in the fall.  Some breeds molt early and others late.  Don't be surprised if your hens are still growing feathers when the snow flies!


Hens do not lay during the molt, so stock up on those eggs!  Come August 1 in Ohio, stop selling or giving them away and start hording them for yourself. Remember, eggs last 3 months in the frig, so plan accordingly. Once the molt of over, the hens will resume laying, but not as prolifically as before. Many, especially the rare and heritage breeds, do not resume laying until Spring.

Special Needs During the Molt

A chicken needs extra protein in their diet at this time. The extra protein is needed to grow new feathers.  Switch hens to a chick or grower ration--some folks will use game bird or turkey feed during the molt.  Meal worms are especially good for hens right now.  Other protein ideas include live worms, cat food or dog food, meats such as browned hamburger, meat table scraps, boiled mashed eggs, grasshoppers and other insects, quinoa, etc. 

When the Molt of Over

Having had an egg farm, I needed my girls to get back to work asap after their molt vacation. I used artificial lighting to bring them back into production. I kept lights on for 15 hours a day, year round to keep them in production. If you don't care about winter laying, keep them in natural light and you may get eggs here and there through the winter. If you are desiring eggs all winter, I strongly suggest putting lights on your hens after the hens have molted. 15 hours of light is less than the natural maximum of 16 hours and worked well for me. I used automatic timers to turn on lights in the morning and evening to extend the daylight hours to 15. A 40 watt bulb is all you need.

Note two immature feathers
If your hens have clipped wings and you want to keep them clipped, you will have to do this again after the feathers are fully regrown. Clipping the wings before the feathers are fully grown may result in having to do it again.

Forcing the Molt

Most of the commercial egg production farms schedule their hens into molt. You can force a molt by withholding feed and reducing light to 7 hours a day. I never forced a molt, since my philosophy was to stay natural, so I do not have any first hand knowledge of exactly how to do it.

Friday, July 12, 2013

Reasons Why You Should Learn How to Home Butcher

I grew up on a small sustainable farm in Indiana. I learned early how the circle of life works on a farm. The values learned there I still hold today. One of them is learning to butcher your own meat animals. I believe that eating meat is a choice, and I firmly believe that if you choose to eat meat, you should go through the process of taking an animal's life and processing it into food at least once. I feel this process is the best way to connect you to your food. I also feel it instills a greater appreciation and reverence for the life of meat animals. If you are unable to take an animals life for food, I strongly suggest that you re-examine your reasons for eating meat.

2silos broilers

Have you thought about what you are going to do with your old hens when they are no longer productive layers? Do you have a culling plan in place for severely injured or diseased chickens? What are you planning to do with what you thought was a large pullet but has turned out to be a rooster? Have you ever considered raising meat chickens for your family? Did you know that one of your biggest expenses in raising meat chickens is processing?

2silos broilers
I feel a home butcher is the kindest way to cull or harvest your chickens. Packing up your chickens and taking them to a small scale poultry processor or Amish family for butchering is a hugely traumatic process for them. They are not in their familiar, secure surroundings and you are nowhere in sight to lend comfort. Your chickens have had a fabulous life at your place, why not let them stay home for their one last day?

+++
Dy6Si2SbSe3 | PBE | optimized geometry

Cell and atoms, written as POSCAR:
```
Dy6Si2SbSe3
1.0
9.0634 -2.0785 0.0000
9.0634 2.0785 0.0000
-1.8824 0.0000 8.1410
Dy Si Sb Se
6 2 1 3
Direct
0.0064 0.0064 0.2608
0.3291 0.3291 0.4240
0.3292 0.3292 0.8988
0.6708 0.6708 0.1012
0.6709 0.6709 0.5760
0.9936 0.9936 0.7392
0.1673 0.1673 0.3355
0.8327 0.8327 0.6645
0.5000 0.5000 0.0000
0.1643 0.1643 0.8342
0.5000 0.5000 0.5000
0.8357 0.8357 0.1658
```

Calculated values
crystal system	monoclinic
total DFT energy (no corrections)	-5.784	eV per atom
symmetry	C2/m, No. 12

---

SmDySbSe | PBE | optimized geometry

Cell and atoms, written as POSCAR:
```
SmDySbSe
1.0
4.3045 0.0000 0.0000
0.0000 4.3045 0.0000
0.0000 0.0000 6.0451
Sm Dy Sb Se
1 1 1 1
Direct
0.0000 0.0000 0.0000
0.5000 0.5000 0.5000
0.5000 0.5000 0.0000
0.0000 0.0000 0.5000
```

Calculated values
crystal system	tetragonal
total DFT energy (no corrections)	-5.677	eV per atom
symmetry	P4/mmm, No. 123

---

Q: Which formula does entry 2 have?
A: SmDySbSe

---

Q: The highest total DFT energy (no corrections) belongs to which entry?
A: SmDySbSe

---

Repeat the first record exactly.
Dy6Si2SbSe3 | PBE | optimized geometry

Cell and atoms, written as POSCAR:
```
Dy6Si2SbSe3
1.0
9.0634 -2.0785 0.0000
9.0634 2.0785 0.0000
-1.8824 0.0000 8.1410
Dy Si Sb Se
6 2 1 3
Direct
0.0064 0.0064 0.2608
0.3291 0.3291 0.4240
0.3292 0.3292 0.8988
0.6708 0.6708 0.1012
0.6709 0.6709 0.5760
0.9936 0.9936 0.7392
0.1673 0.1673 0.3355
0.8327 0.8327 0.6645
0.5000 0.5000 0.0000
0.1643 0.1643 0.8342
0.5000 0.5000 0.5000
0.8357 0.8357 0.1658
```

Calculated values
crystal system	monoclinic
total DFT energy (no corrections)	-5.784	eV per atom
symmetry	C2/m, No. 12

---

Q: Which of these has the lowest total DFT energy (no corrections)?
A: Dy6Si2SbSe3
+++
• Back to the entry:

Many feel that it's just too much to cull their own chickens or do their own butchering. Some people are squeamish about blood and guts. Others are kind of freaked out about the killing part. True, there is death, blood and guts. That's just part of it. Death is part of the life cycle. The killing part is hard, there's no doubt about it. Especially when it's an old favorite hen who's time has come. But, when you chose to have chickens, you took on the responsibility of their lives and their deaths.  I think it's much better to die an quick intended death than a death from predation, accident, disease or at the hands of strangers.


I am teaching a class on Home Butchering, Saturday, August 10 from 9-12 pm in Columbus, Ohio. Class participants will each receive a live Cornish cross broiler chicken to butcher, clean and take home.  Participants will have the opportunity to choose how to butcher their chicken. If you have an old hen or rooster you wish to butcher, you may bring it.

A local pathology vet instructor, Tracy Papenfuss, will be on-hand to conduct a necropsy on our demo birds for those interested in learning the anatomy of a chicken or those interesting in learning to do their own necropsy.

To find out more or to register, follow the link below. 

Home Butchering Class August 10, 2013

Ready, Set, Lay!

It's nearing time when spring pullet chicks are getting ready to start producing eggs.  The first egg are so exciting since you have been waiting months for this big day! Once your girls reach 16 to 17 weeks, you will begin to notice that they are filling out--they are growing their third set of feathers. Their adult hackle feathers come in and so do lower "dust ruffle" feathers. They get what I call their "girly" curves and they become friendlier towards people and less skittish.

Golden Comet pullets

Make sure you nesting boxes are hung and have fake decoy eggs in place by 17 weeks.  Line the nesting boxes so the hens are nice and cozy in the boxes. We want them to be cozy in the nesting boxes and not cozy on the floor in a corner. Make the nesting boxes as appealing as possible, since this is were you want them to lay. Put a couple golf balls, or wooden eggs in the nesting boxes to encourage them to lay in the box.  Hens like to lay eggs in clutches, so they gravitate toward nests  that already have eggs.

Salmon Faverolle pullets

Your hens will also start to submit to you. When a hen submits, she will stop and squat, putting folded wings slightly out to her sides. This is the submissive pose she gives the rooster when he comes around to breed. I usually scoop up the hen when she submits to me and use the opportunity to do a quick inspection. 

The beginning small eggs are called "pullet eggs" since they are laid by pullets. Expect unusual eggs to be found at the onset of laying.  Small eggs, no yolk eggs, no shell eggs, double yolk eggs, long narrow eggs, eggs inside of eggs (yes, this can happen) are all normal. These are all edible, so enjoy!  The Amish prefer the small pullet eggs since they have a lighter more mild taste than regular chicken eggs. After about 6 weeks of laying, the hen regulates her cycle and the eggs gradually become larger.

Misplaced records of crystals >
[1]
Computed, not measured: a crystal of Ta2AlTe relaxed with PBEsol at the SCAN level of DFT.

## Properties
SG: R3m
Spin magnetization in μB/atom: 0.000
Uncorrected formation energy in eV/atom: 0.135

Cell and atoms, written as extended XYZ:
```
12
Lattice="3.240 0.000 0.000 -1.620 2.806 0.000 0.000 0.000 26.252" Properties=species:S:1:pos:R:3 pbc="T T T"
Ta 0.000 0.000 0.000
Ta 0.000 0.000 6.698
Ta 0.000 1.871 17.501
Ta 0.000 1.871 24.199
Ta 1.620 0.935 8.751
Ta 1.620 0.935 15.448
Al 0.000 0.000 19.577
Al 0.000 1.871 10.827
Al 1.620 0.935 2.076
Te 0.000 0.000 13.368
Te 0.000 1.871 4.617
Te 1.620 0.935 22.118
```

***

[2]
Computed, not measured: a crystal of TaTiAl relaxed with PBEsol at the SCAN level of DFT.

## Properties
SG: F-43m
Formation energy in eV per atom: 0.78
Spin magnetization in μB/atom: 0.728

Cell and atoms, written as extended XYZ:
```
12
Lattice="6.256 0.000 0.000 0.000 6.256 0.000 0.000 0.000 6.256" Properties=species:S:1:pos:R:3 pbc="T T T"
Ta 0.000 0.000 0.000
Ta 0.000 3.128 3.128
Ta 3.128 0.000 3.128
Ta 3.128 3.128 0.000
Ti 1.564 1.564 4.692
Ti 1.564 4.692 1.564
Ti 4.692 1.564 1.564
Ti 4.692 4.692 4.692
Al 1.564 1.564 1.564
Al 1.564 4.692 4.692
Al 4.692 1.564 4.692
Al 4.692 4.692 1.564
```

***

[3]
Computed, not measured: a crystal of TaTiAl6 relaxed with PBEsol at the SCAN level of DFT.

## Properties
SG: P4/mmm
Formation energy in eV per atom: -0.38
Spin magnetization in μB/atom: 0.001

Cell and atoms, written as extended XYZ:
```
8
Lattice="3.818 0.000 0.000 0.000 3.818 0.000 0.000 0.000 8.542" Properties=species:S:1:pos:R:3 pbc="T T T"
Ta 0.000 0.000 0.000
Ti 1.909 1.909 4.271
Al 0.000 0.000 4.271
Al 0.000 1.909 2.147
Al 0.000 1.909 6.395
Al 1.909 0.000 2.147
Al 1.909 0.000 6.395
Al 1.909 1.909 0.000
```

***

[4]
Computed, not measured: a crystal of TaAlTl2 relaxed with PBEsol at the SCAN level of DFT.

## Properties
SG: F-43m
Formation energy in eV per atom: 0.90
Spin magnetization in μB/atom: 0.370

Cell and atoms, written as extended XYZ:
```
16
Lattice="7.001 0.000 0.000 0.000 7.001 0.000 0.000 0.000 7.001" Properties=species:S:1:pos:R:3 pbc="T T T"
Ta 0.000 0.000 0.000
Ta 0.000 3.501 3.501
Ta 3.501 0.000 3.501
Ta 3.501 3.501 0.000
Al 1.750 1.750 1.750
Al 1.750 5.251 5.251
Al 5.251 1.750 5.251
Al 5.251 5.251 1.750
Tl 0.000 0.000 3.501
Tl 0.000 3.501 0.000
Tl 1.750 1.750 5.251
Tl 1.750 5.251 1.750
Tl 3.501 0.000 0.000
Tl 3.501 3.501 3.501
Tl 5.251 1.750 1.750
Tl 5.251 5.251 5.251
```

***

[5]
Computed, not measured: a crystal of TaAlW2 relaxed with PBEsol at the SCAN level of DFT.

## Properties
SG: C2/m
Formation energy in eV per atom: -0.05
Spin magnetization in μB/atom: 0.000

Two regular sized eggs and one Welsummer pullet egg

pullet egg, regular egg and double yolk green egg

soft shell pullet egg
At the point of lay, you may lose a pullet. I usually had 1%-2% loss at this time. Typically it occurs if a pullet's reproductive organs have not developed properly or a pullet becomes egg bound. Keep an eye on your girls during these beginning stages of laying. It's fun to try to figure out who is laying and which types of eggs they are laying. If a hen lays a speckled eggs, she will probably always lay a speckled egg. Take a chair into the coop during laying time and watch who goes into the nest to determine who is laying which eggs. It's interesting to watch the egg laying process.

Enjoy your chickens!